Wednesday, July 23, 2014 Slammin’ Silvers- July 23rd, 2014

Tyler holding a big buck Silver

Camp Tamarack from Michigan came out for their annual Silver Salmon trip.  Silver fishing has been a bit slow lately and we knew that we would have to work for them today.  There was a total of 31 fisherman on board.  We tried a spot inside Resurrection Bay first, which was full of bait but only managed to entice 2 Salmon to bite.  It wasn’t long before we knew this wasn’t going to be a productive spot.  Soon after we headed east to another Salmon spot that has been pretty good lately.

The wind was blowing about 15 knots in the Gulf but fishable by all means.  We tried drifting but after the first go at it the wind was pushing the boat too fast.  After chumming for a bit the Silvers started to show up.  The kids fished hard, and pulled in a total of thirty-nine Silvers and one Pink Salmon.  There were bait balls all over the surface of the water and a few whales working the schools of small baitfish.  It was a great day of fishing considering the slow bite for the past week, I feel we did pretty good in comparison to the rest of the fleet.

Another good weather forecast tomorrow with NE wind 10 knots coming down to variable 10 by the afternoon.  Tomorrow’s trip is a full day Salmon/ Halibut Combo charter and we plan on going to Montague Island.  It seems the Island is the only place to get a consistent salmon bite, hopefully the big tide tomorrow will push out some of the dogfish.  They have been in thick lately but strong current will usually move them out.  FISH ON!

Combo- July 22, 2013

Full day Halibut and Salmon combo trip.  We started the day off fishing a 240′ hump that used to be a popular spot back in the 90’s, but has since been forgotten.  I like to stop off at this spot once a year and see who’s home.  A few people on the boat caught a couple Lingcod and four 35lb to 40lb Halibut.  At 11 we pulled the anchor and moved to the Halibut grounds to try and limit the boat.  It was a slow pick at first, but when the Halibut caught on to our scent trail the lines started bobbing and Halibut started hitting the rails.  We caught close to a limit then switched gear and started searching for Silvers.

The radio chatter indicated that the Silver fishing was slow for the fleet.  We tried a spot that had not yet been hit by other charter boats.  Only one Silver Salmon was caught even though the spot looked fishy. Unfortunately, it showed no signs of a productive Salmon bite.  Later we pulled in where the rest of the charter boats were picking away at Silvers.  By 5:45 we had caught fifteen and it was time to hit the barn.

The Sea Quest has a full day Salmon trip tomorrow with 31 kids.  Hopefully tomorrow will bring a few more Salmon into the gulf. FISH ON!

Jeremy’s big Lingcod

Monday, July 21, 2014 Hot Bite Out East- July 21, 2014

Our private trip decided to make their charter a full day Halibut trip emphasizing on large Halibut.  I punched in Montague Island into the GPS and we were on our way.  We expected the weather to be uncooperative but leaving the bay it seemed to only get nicer.  The Sea Quest reached the Island at 9:30 and we dropped our lines at the beginning of the outgoing tide.  The current started to pick up around 10:30 and at that point we had only landed 1 fish at 30lbs.  The spot wasn’t looking promising so I made a 15 minute call before our next move.  Just as one of the clients said “sometimes you have to threaten to leave them,” a big halibut struck the 8 oz jig, hard.  It was a battle up to the top tangling lines but we finally landed the 80lb Halibut.  After that the bite got hot.  We were very busy on deck flinging fish after fish over the rail between 30lbs and 100lbs.

********
# 1
Molecular formula: C5H7N
Method: DFT, ωB97M-V/def2-TZVPD

XYZ file:
```
13
Properties=species:S:1:pos:R:3:forces:R:3
N 1.67339 -0.06188 1.23102 0.1 -0.4 1.6
C 1.96346 -0.12337 -0.19111 -2.0 1.2 1.4
C -2.01442 0.26982 0.16032 3.1 0.0 0.1
C 0.52107 0.20075 -0.57552 1.5 1.1 -3.1
C 0.45961 0.24629 0.86006 -0.4 -0.5 0.1
C -0.57622 -0.54094 0.11777 -2.3 1.8 1.7
H -2.21157 0.38155 1.21966 -0.3 -0.1 0.1
H 2.67205 0.54345 -0.51325 1.7 1.7 -1.1
H -2.79878 -0.30070 -0.29512 -0.3 0.1 -0.6
H 0.55379 0.74677 -1.50894 -1.3 0.5 0.2
H -1.82647 1.32482 -0.23143 -0.5 -1.6 0.1
H 2.14829 -1.06960 -0.47883 1.1 -3.6 -0.6
H -0.56420 -1.61697 0.20536 -0.3 -0.3 0.1
```
Positions in Å, forces in eV/Å.

Results
Net charge = 0
HOMO-LUMO gap = 8.466 eV
E_tot = -6782.5141 eV
2S+1 = 1
LUMO level = 0.20 eV

# 2
Molecular formula: C5H7N
Method: DFT, ωB97M-V/def2-TZVPD

XYZ file:
```
13
Properties=species:S:1:pos:R:3:forces:R:3
N 1.06031 1.35858 -0.67928 1.4 -1.7 1.3
C 0.29950 0.27612 -1.18549 -0.4 -0.4 -0.6
C -0.87078 0.14186 1.04599 -0.1 0.4 0.4
C -0.94631 -0.14285 -0.40471 -0.1 -1.0 0.2
C 0.09619 -0.89933 0.64709 -0.6 0.2 -0.4
C 1.19648 -0.35932 -0.25142 0.5 1.5 0.0
H 0.62580 1.80495 0.12551 -0.2 -0.1 -0.2
H 2.12261 -0.91124 -0.41912 -0.2 0.7 -0.1
H 0.35053 0.09046 -2.24568 -0.3 0.1 -0.3
H -0.52104 1.06973 1.48141 -0.1 0.3 0.0
H 0.21309 -1.81836 1.24683 -0.4 0.3 -0.8
H -1.89038 -0.33283 -0.91645 0.2 -0.5 0.4
H -1.73600 -0.27778 1.55533 0.1 0.2 0.1
```
Positions in Å, forces in eV/Å.

Results
Net charge = 0
HOMO-LUMO gap = 9.383 eV
E_tot = -6783.8397 eV
2S+1 = 1
Structure (SMILES) = C1[C@@H]2[C@H]1[C@@H]1N[C@H]21
LUMO level = 1.12 eV

# 3
Molecular formula: C5H7N
Method: DFT, ωB97M-V/def2-TZVPD

XYZ file:
```
13
Properties=species:S:1:pos:R:3:forces:R:3
N 1.69774 0.83210 -1.63800 -0.4 -0.5 2.9
C 0.65075 0.05340 0.81324 -0.2 -0.3 -1.4
C 0.78209 0.22820 -1.04060 -0.4 -0.4 2.5
C -0.46468 -0.58215 -1.11777 -0.5 -0.3 -0.2
C -0.60634 -0.67019 0.39899 -0.5 -0.4 0.0
C -0.69917 0.64691 1.11640 -0.1 0.1 -0.2
H -0.22034 -1.55026 -1.57012 -0.1 0.1 0.0
H -1.02641 1.54379 0.59026 0.0 -0.2 0.0
H 1.30714 -0.26874 1.64061 -0.1 0.2 -0.8
H 1.88834 0.85488 -0.52197 2.2 1.6 -2.6
H -1.27210 -0.10532 -1.68081 0.0 -0.1 0.0
H -0.97825 -1.57720 0.86336 0.0 0.2 0.0
H -1.05877 0.59458 2.14641 0.2 0.0 -0.3
```
Positions in Å, forces in eV/Å.

Results
Net charge = 0
HOMO-LUMO gap = 10.102 eV
E_tot = -6783.9026 eV
2S+1 = 1
LUMO level = 1.12 eV

# 4
Molecular formula: C5H7N
Method: DFT, ωB97M-V/def2-TZVPD

XYZ file:
```
13
Properties=species:S:1:pos:R:3:forces:R:3
N -0.19933 -0.33719 1.04345 0.0 0.0 0.0
C -0.34667 -0.16200 -1.12530 0.1 0.0 -0.2
C -0.94149 0.60106 0.11107 -0.3 0.4 0.0
C 0.03128 -1.24727 -0.10828 0.1 -0.2 -0.1
C 0.85025 0.72160 0.96131 0.3 0.1 0.0
C 0.12273 1.61556 -0.03026 -0.1 -0.2 0.3
H 1.03639 -1.68085 -0.15753 -0.2 0.1 0.0
H 0.51567 0.40022 -1.53009 -0.1 -0.2 -0.1
H -2.01862 0.76099 0.18019 0.2 -0.1 -0.1
H 0.79385 1.34542 1.86574 0.0 -0.1 0.0
H 1.88677 0.38820 0.82529 -0.2 0.2 0.0
********
The piece goes on:

At 1:30 we reached a limit of our “over 29″ Halibut” and moved to a spot just a few miles out.  This area is known for smaller fish.  There were a few boats finishing off their day when we arrived so it looked like a sure bet.  Most of the boats were leaving because they were infested by Spiny Dogfish (sand sharks).  It seemed to be a five to one ratio of sharks to Halibut, so we pulled the anchor and tried drifting.  The Halibut will usually bite during the drift but the sharks will not congregate under the boat.  It worked out and we only left 2 fish shy of our limit.

Weather report for tomorrow predicts SW 20 knots of wind and 5′ seas.  Weatherman was wrong about today and hopefully tomorrow will be the same outcome.  Halibut/ Salmon combo trip tomorrow…Let’s get ’em   FISH ON!

Quantum chemistry results that have nothing to do with the article.
********
1.
CH6Ba3O6 | the ωB97M-V functional and the def2-TZVPD basis

```
16
Properties=species:S:1:pos:R:3
Ba 2.72224 -0.78212 -0.96428
H -2.33118 1.59875 1.05276
O -3.00931 1.78051 1.70340
O 0.72897 0.39882 0.43881
O -1.27545 1.13709 -0.22345
O 1.35461 -1.97666 -3.04319
C -0.20793 0.46672 -0.42017
O 1.41782 -0.76372 3.16073
H -3.39195 0.92468 1.89673
H 0.50419 -1.60604 -2.80724
Ba 1.36250 3.01348 1.24309
O 0.01265 -0.02247 -1.50653
H 1.22095 -0.38614 2.30347
Ba -2.35299 0.56692 -2.62203
H 1.17853 -2.90565 -3.19216
H 2.06634 -1.44417 2.98005
```

As for the spin multiplicity: 2. Its expectation value of S² is 0.753. The charge is +5. For the HOMO energy (alpha / beta), the calculation gives -25.24 / -25.23 eV. The value obtained for the electronic energy is -567.48019 a.u.

Here are the Mulliken charges for atoms 1 to 8, given in e: Ba 1.855; H 0.517; O 0.064; O -1.064; O -1.018; O -0.628; C 1.224; O -0.533

***

2.
C11H12ClIN2O3PS | the ωB97M-V functional and the def2-TZVPD basis

```
32
Properties=species:S:1:pos:R:3
H 1.52619 -1.41326 5.85340
I -3.66394 -1.93149 -3.94471
O -0.02546 0.58491 4.09707
H -0.84787 -2.32655 -1.95074
Cl 1.69804 -1.92076 2.01526
H -0.89046 -0.36713 2.34970
N 2.10740 2.91108 -3.65572
C 0.73875 0.71245 -3.13798
C 1.67195 1.90221 -2.72641
C 2.08082 1.93872 -1.20184
H 1.99732 0.96294 0.94296
H 0.24758 -0.71729 6.87560
P 0.05700 -1.60746 0.68295
H -2.28009 -0.67763 -0.70864
S 3.07202 3.90353 -2.60219
C 0.67209 -0.30768 -0.57705
C 0.83856 -0.57109 5.96769
C -0.73901 -1.48934 -2.71913
N 2.91801 3.11624 -1.07164
H -0.26189 -1.84034 -3.71440
H -3.77026 0.12920 -1.62057
C 0.25553 -0.36039 -2.09436
H -1.88919 0.21061 -3.67404
H -2.11043 0.99611 -1.46814
H 0.42159 0.64574 -4.23167
C 1.62144 0.87585 -0.14613
C -2.13907 -0.69129 -2.99054
O -1.21500 -0.98613 1.63023
C -2.64021 -0.02941 -1.57912
C -0.08511 -0.48934 4.75635
H 1.42699 0.34297 6.08149
O -0.79329 -1.50597 4.56230
```

The charge is -1. For the HOMO energy, the calculation gives -4.74 eV. The value obtained for the electronic energy is -2258.94673 a.u.

Here are the Mulliken charges for atoms 1 to 8, given in e: H 0.200; I -0.014; O -0.763; H 0.423; Cl -0.269; H 0.310; N -0.648; C -0.547

***

3.
C30H68N3O7PSi2 | the ωB97M-V functional and the def2-TZVPD basis

```
111
Properties=species:S:1:pos:R:3
H -3.39071 6.21054 1.55771
H -0.69708 4.69181 0.43729
H -0.67381 -10.84934 -2.92810
H 0.91242 -8.27926 -2.65007
C 1.62167 -4.88983 1.99877
O 3.63481 3.38960 1.49381
C 2.54016 1.24312 3.31227
C 2.36639 -3.67391 1.35586
O 0.85819 -8.44023 0.30345
N -2.98405 8.39012 -0.23048
C 0.76124 3.43206 2.15533
H -1.86803 9.55985 -3.27881
H -2.85958 -7.74504 -1.06308
H 3.09658 -4.68237 3.67434
H -5.57064 9.60689 0.01063
Si 1.09532 0.08615 0.46096
H -0.99974 9.52165 -1.74062
H -3.50550 7.22477 -2.86700
H 2.31545 -1.77941 -2.36096
C -1.75300 9.01077 -2.34277
H -5.96469 6.67043 -0.03787
H 3.01675 -3.24299 2.14614
O 1.46215 -2.66042 0.87642
H -0.95857 -12.42295 -0.20282
H -2.73046 11.10612 -1.69742
********
The quantum chemistry results stop here.

Sunday, July 20, 2014 Pulled It Off, Again! July 20, 2014

Load of fat Silvers

Another great day out on the water.  We eluded the weather by fishing close to home.  It seemed the wind didn’t pick up until 10 miles outside the bay.  We rounded Cape Resurrection and returned to the same area we fished during yesterday’s charter.  Again, it was deep but well worth the extra reeling.  Fourteen Halibut were landed in the morning, the biggest about 60lbs.  The rest of the Halibut caught ranged between 15lbs and 30lbs.  Right when we landed our last big fish, a monster was hooked off the bow.  It was only hooked for about 20 seconds before spitting the hook and returning to the bottom. I was glad this fish got off early considering it would have been released since the angler already caught his big one.  Reeling in a fish at 300′ of water causes a lot of stress and potential injury to it so the fact that the hook popped off in time was a relief.

At about 11:30 we switched to Salmon gear and made way towards a spot we heard was good in the morning.  It took us a bit but we caught a limit of Silver Salmon and few more small Halibut.  When we returned to the bay the wind was smoking out of the North making it the roughest leg of our journey.  I’m looking forward to this coming week of fishing.  The weather is coming way down and the Silver Salmon should really be heating up.  FISH ON!

Saturday, July 19, 2014 Lots of Action Close To Home- July 19, 2014

On our way in yesterday the weather was building and the SW wind blew through the night.  The weatherman predicted up to 30 knots of West wind today so we decided to play it safe and stay close to home.  Our intentions this morning leaving the dock was to remain inside Resurrection Bay to target Silver Salmon.  I got word from a friend who was down the line that the weather wasn’t too bad until the half way point to our fishing grounds.  I have a few spots for Halibut that are good for days when we can’t reach our normal fishing area.  We rounded Cape Resurrection to no wind and a small ground swell and plopped out anchor in about 270′ of water.

The water was a bit deep where we fished but I’ve had great success in the past on a similar tide.  It took no longer than five minutes before we caught our first Halibut.  We only had 8 people and we managed to catch 11 Halibut between 15lbs to 60lbs.  A couple of Salmon carcasses were attached to a few of the lines and what I believe to have been a Salmon Shark grabbed it and snapped the line about 1 minute into the fight.  It took us by surprise as they usually do.  I’m guessing it was in the 300lb range.

The sun peeked through the clouds and it became a beautiful day.  We finished up our Halibut then went on the hunt for Silvers.  It was slow but we picked away at them, running from spot to spot until reaching a limit of 24 fat ones.  Water temperature was a bit hot today causing the salmon to be in the deeper water column, about 120′.  Nobody on the boat including myself predicted today to turn out so good.  Great job on the fish today guys, you all made me proud.  FISH ON!

Monday, July 14, 2014 Long Run for Good Fun- July 14,2014

Me and John with his first 100 pounder

We ran a bit further than usual today for our full day Halibut trip.  It took 3 hours to arrive at our first destination but it proved to be worth the wait.  We caught a plethora of Pelagic and Non-Pelagic rockfish as well as a majority of Halibut in an area we had yet to try this season.  The bite was consistent through the whole incoming tide.  Largest fish on the boat was a 120lb Halibut caught by John.  He had been working a jig all morning and continuously watched people catching Halibut on bait so he decided to switch methods.  The moment his bait hit the bottom it was sucked down and hooked solid by his big Halibut.  At about 1pm we moved over to the western edge of the island and caught the rest of our small Halibut.  It’s sure nice when things go according to plan.  We arrived back at the dock at a reasonable hour and with a large load of white meat.  The weather was a bit rough on the way home but tomorrows forecast predicts that the SW winds are diminishing.  FISH ON!

Sunday, July 13, 2014 Nice Load- July 13, 2014

This morning we left the dock in a torrential downpour, but when we reached our fishing destination the rain cleared and the weather turned out to be quite nice.  It didn’t take long for the Halibut to show up. We started fishing at 9am and by 11:30 we had landed 8 nice fish.  Our largest was about 80lbs and a few more were just shy.  We fished until the current started to slow down then we moved to an area to drift.  We managed to hook a few big lingcod while drifting but the outgoing tide was carrying us too fast to continue.  After soaking for big ones we slid out to the flats to catch the remainder of small Halibut.  We didn’t fill the boat completely but the size of the first 8 fish we caught made up for coming up short of a limit.  It was a great day of fishing and we’re looking forward to the good weather that’s predicted in the forecast.  Check in tomorrow for an update on the day’s charter.  FISH ON!

Tuesday, July 8, 2014 Perfect Day- July 8, 2014

\We left the dock with a light load, only 9 people on a private charter.  We arrived at the island at the tail end of an incoming tide and had to sit through the slack before the fish started to bite.  As soon as the tide started to roll we hooked up a few Halibut mostly in the 25lb-30lb range but one at 110lbs.  The sun was shining bright and there was a light wind over the fishing grounds.  After catching most of our Halibut and a few Lingcod, we fished some nearby pinnacles.  I positioned the boat at a high spot and drifted 9 jigs down the rocky ledge.  As soon as the angler’s lines hit the bottom, 7 out of 9 rods had hooked giant Lingcod.  It was fast and furious and we only needed two more Lingcod to limit the boat.  Our next drift was just as good, whacking 2 right off the bat.

It was a fantastic day of fishing and the weather was spectacular, we couldn’t have asked for a better day.  Tomorrow will be a bit sporty with southeast winds predicted at 15 knots and 5′ seas.  It looks like the beginning of what will be a pretty good blow.  NOAA weather is calling for winds more or less at 40 knots and 14′ seas for Thursday.  Luckily, reports show that the Silver Salmon are in the bay and the bite is good.  Until then… FISH ON!

Monday, July 7, 2014 Rough Start- July 7, 2012

The bay was howling this morning and continued to pick up as we made progress into the gulf.  We rounded the Cape and decided that it was a too rough to head directly to the Halibut grounds. After a few uncomfortable slams we stopped at a protected cove and tried for a few Silver Salmon, while the weather came down.  We weren’t able to hook up any more than 5 Salmon do to the slack tide. Salmon usually feed better on an incoming or outgoing tide.

After an hour or so the Sea Quest rolled through the residual towards the Halibut grounds.  The bite was a bit slow so we tried another a little further down the line.  The weather got increasingly better throughout the day.  By 3pm there was little to no wind and the sun was starting to peak through the crowds.  Can’t complain we made lemonade out of lemons.  Caught close to a limit of halibut  and also managed to land a bunch of fat Silver Salmon.

Tuesday, July 1, 2014 Opening Day For Ling Cod- July 1, 2014

Matty from cooper landing caught and released 12 Ling Cod today keeping this one for the freezer

Today’s charter is one that we always look forward to because July 1 is the opening day for Ling Cod season meaning we can finally get to throw some big ones in the box.  We started the day off targeting halibut on a large rockpile off the southwest tip of Montague. The Halibut bite was slow but we were too busy catching giant Yelloweye Rockfish at this point to care.  Many of the fisherman on the boat limited out on Yelloweye and Black Bass by 11:30.  At 12 we picked up the anchor and moved a few more miles to a more productive area for small halibut and by 1:30 we had landed our last.

Next was the moment we were all waiting for; Ling Cod!  We set up 10 fisherman off one side of the boat and drifted sideways in the current over some large pinnacles.  The fishing was amazing, we had up to five on at one time.  The lings were all very good size ranging from 25lbs to 45lbs.  I think we only threw two back that were under the 36″ size limit.  Everyone on the boat caught one and I think we were short 1 of a twenty person limit.  The weather was perfect, blue skies and flat seas, the day really couldn’t get much better.  The fishing was great creating the ideal start to our combo season.  I can’t wait to see what we come up with tomorrow.  The weather forecast is calling for 72 degrees, flat seas and no wind.  Here we go July! FISH ON!

Monster Yelloweye

The Rollings family from Florida posing with one of their 4 Lings

Sunday, June 29, 2014 Turkey Slaughter- June 29, 2014

These calculated molecules were left in the piece by mistake >
********
{"formula": "C24H20Br2MnN4O8", "method": "ωB97M-V with the def2-TZVPD basis set", "e_above_lowest_kj_mol": 0.0, "orbital_gap_ev": [7.41, 7.49], "e_homo_ha": [-0.30280, -0.30899], "multiplicity": 6, "species": ["Mn", "Br", "Br", "C", "C", "C", "C", "C", "C", "N", "O", "O", "H", "H", "H", "H", "H", "C", "C", "C", "C", "C", "C", "N", "O", "O", "H", "H", "H", "H", "H", "C", "C", "C", "C", "C", "C", "N", "O", "O", "H", "H", "H", "H", "H", "C", "C", "C", "C", "C", "C", "N", "O", "O", "H", "H", "H", "H", "H"], "xyz": [[-0.152, 0.131, -0.118], [2.335, -0.644, -0.260], [-2.488, 0.817, 0.488], [0.131, 0.519, 6.770], [-0.667, 0.978, 5.736], [-0.602, 0.391, 4.481], [0.295, -0.639, 4.285], [1.066, -1.148, 5.316], [1.024, -0.531, 6.550], [0.320, -1.293, 2.976], [0.706, -2.435, 2.893], [-0.090, -0.619, 2.042], [0.059, 0.892, 7.784], [-1.343, 1.813, 5.865], [-1.240, 0.767, 3.691], [1.764, -1.950, 5.111], [1.585, -0.959, 7.370], [4.134, 5.331, -1.504], [3.788, 4.066, -1.974], [2.664, 3.422, -1.480], [1.875, 4.110, -0.571], [2.177, 5.381, -0.129], [3.313, 6.013, -0.617], [0.649, 3.463, -0.113], [0.575, 2.260, -0.327], [-0.202, 4.133, 0.414], [5.046, 5.791, -1.867], [4.367, 3.561, -2.735], [2.455, 2.401, -1.771], [1.484, 5.855, 0.554], [3.584, 6.992, -0.249], [-4.451, 0.604, -5.207], [-4.232, 0.088, -3.929], [-3.001, 0.240, -3.315], [-1.945, 0.740, -4.052], [-2.125, 1.231, -5.330], [-3.379, 1.147, -5.909], [-0.657, 0.874, -3.410], [-0.629, 0.586, -2.221], [0.289, 1.258, -4.056], [-5.416, 0.478, -5.677], [-5.056, -0.356, -3.387], [-2.931, 0.029, -2.252], [-1.303, 1.608, -5.921], [-3.557, 1.616, -6.869], [1.029, -6.467, 0.502], [1.601, -5.341, -0.070], [0.830, -4.210, -0.281], [-0.490, -4.225, 0.114], [-1.102, -5.348, 0.634], [-0.311, -6.457, 0.871], [-1.282, -3.032, -0.144], [-0.677, -2.051, -0.565], [-2.464, -3.065, 0.076], [1.590, -7.385, 0.624], [2.656, -5.342, -0.309], [1.276, -3.327, -0.717], [-2.147, -5.398, 0.899], [-0.729, -7.363, 1.289]]}
********

Clear skies and flat seas set the tone for another good day of fishing.  We left the dock with 12 people who all had derby tickets and hopes for big fish.  It was a great tide this morning, a big incoming starting at 9:40am.  We stopped half way out to the halibut spot to catch some Pink Salmon to use for bait.  We ended up hooking 8 and landing 5 in about 15 minutes.  Looks like the salmon are starting to come in thick.  I hope it’s going to be a good year for silvers, catching them in the ocean is a fight like no other.  Silver Salmon are known for their wiry antics and acrobatic leaps out of water.

We arrived at our big fish spot at about 9:45, right when the tide started to pick up.  We put our live bait down and started chumming.  Within 10 minutes we had hooked a big Lingcod and our first halibut.  The bite steadily increased in the first hour landing 12 for 12 of our big fish.  All the halibut ranged from forty to seventy-five pounds.  Fish this size are a perfect balance of weight and quality and most Alaskans are happy to catch them.

All though the big fish were easy to obtain, the under 29″ halibut proved themselves, as usual, to be more of a challenge than expected.  We tried in the mud flats in about 230′ of water but all we could catch was 30″-32″ halibut.  After about an hour of catching and releasing, we moved to an area closer to home that’s known for tiny fish.  We ended up limiting the boat by 4pm and caught a nice 12 pound King Salmon right at the last minute.

Looking forward to tomorrow’s trip, it’s the last day of the halibut derby and some big fish have been hitting the docks daily. Hopefully tomorrow it will be ours.

Here is the current standing:
1st- 261lbs
3rd- 251lbs

Todays Turkey Load

Saturday, June 28, 2014 Monster Halibut Bite- June 26, 2014

We had a light load today with only 12 anglers for a private charter and we were geared up with enough bait for at least 3 charter boats plus whole pink salmon bait, previously caught the day before.  I wanted to try something new, so we drove around Montague scanning the bottom for some some new pinnacles and structure.  We found a small shelf in about 130′ of water and dropped the anchor right on the high point.  The tide was a large flood starting early this morning and the current was screaming out the back of the boat.  After about thirty minutes of fishing we started seeing our first bites.  It didn’t seem that the halibut had any preference on the bait, for 2 hours they teared apart anything we sent down.  We hooked into 7 fish all over 75lbs with the biggest around 110lbs. It was a spectacular day of fishing and the fisherman definitely got a run for their money.

The tide started to slow down around noon and so did the bite.  We moved out and shot across the island to look for the rest of our halibut.  We were just about limited with all of our big fish and needed to catch the remainder of under 29″ fish.  The first place we stopped at had a ton of bait but we couldn’t keep the bait down long enough before a black bass would take it.  By the time we found some halibut the outgoing tide was picking up and the fish were in frenzy mode.  It only took about 20 minutes to limit the boat.  Great job everyone, you guys killed it!  Rest those sore muscles and come back soon.  FISH ON!